**To do:**
Give back only the lines underneath with the word "positions" in them, please.

**Excerpt:**
/*
Computed, not measured: crystalline HoScB2O6 at its relaxed geometry at the PBE level of DFT.

Values from the calculation:
**MP2020-corrected energy**: -8.885 eV per atom
**SG**: R-3, No. 148
**Energy of formation**: -3.49 eV per atom

a = 6.0531 Å, b = 6.0531 Å, c = 6.0531 Å
α = 47.73°, β = 47.73°, γ = 47.73°
Closest atoms and distances in Å follow each position.
Fractional positions:
1 Ho 0.0000 0.0000 0.0000  6 O 2.30
2 Sc 0.5000 0.5000 0.5000  6 O 2.14
3 B 0.7546 0.7546 0.7546  3 O 1.39
4 B 0.2454 0.2454 0.2454  3 O 1.39
5 O 0.0454 0.4792 0.7351  1 B 1.39
6 O 0.4792 0.7351 0.0454  1 B 1.39
7 O 0.7351 0.0454 0.4792  1 B 1.39
8 O 0.5208 0.2649 0.9546  1 B 1.39
9 O 0.2649 0.9546 0.5208  1 B 1.39
10 O 0.9546 0.5208 0.2649  1 B 1.39

* * * * *

# 1
! Ca3Bi3N5 (PBE-GGA, relaxed); values from VASP
&SYSTEM
  ibrav = 0, nat = 22, ntyp = 3
/
ATOMIC_SPECIES
Bi 208.98 Bi.upf
N 14.01 N.upf
Ca 40.08 Ca.upf
ATOMIC_POSITIONS angstrom
Bi -0.025 -4.240 3.483
N -2.904 -2.325 0.698
N -5.361 -3.576 4.612
Bi -3.630 -3.460 3.044
Ca -1.598 -3.957 6.342
Bi -0.677 -1.762 0.899
Ca -7.153 -2.646 3.066
Bi -4.850 -2.366 6.442
Bi -1.896 -0.668 4.296
Ca -2.046 -4.639 0.220
Ca 1.626 -1.482 4.275
Bi -5.502 0.112 3.858
Ca -3.929 -0.171 0.998
N 0.025 -3.863 1.236
N -2.245 -5.041 4.000
N -5.552 -0.265 6.105
N 0.613 -6.163 4.244
Ca -3.480 0.511 7.121
N -6.140 2.035 3.096
N -3.282 0.913 3.341
N -2.623 -1.803 6.643
N -0.166 -0.552 2.728
CELL_PARAMETERS angstrom
-0.754 -6.262 -1.763
3.592 -0.887 6.207
-8.364 3.021 2.897
! - SG = P-1 (2)
! - crystal system = triclinic
! - formation energy from the elements (meV/atom) = -217

---

# 2
! Na2CaNb4Bi2O15 (PBE-GGA, relaxed); values from VASP
&SYSTEM
  ibrav = 0, nat = 48, ntyp = 5
/
ATOMIC_SPECIES
O 16.00 O.upf
Nb 92.91 Nb.upf
Bi 208.98 Bi.upf
Na 22.99 Na.upf
Ca 40.08 Ca.upf
ATOMIC_POSITIONS angstrom
O 1.065 0.000 0.481
Nb 1.350 -2.103 0.260
O 4.093 3.983 3.097
Nb 1.350 2.103 0.260
O 0.368 2.087 2.127
Nb 4.113 -6.253 2.998
Bi 4.016 9.132 5.495
O 2.575 5.949 1.895
Na 1.307 -4.299 2.976
O 1.634 -8.134 0.373
O 0.368 -2.087 2.127
Ca 4.180 0.000 0.099
Nb 1.431 -6.253 0.211
O 2.928 14.722 4.333
Nb 4.194 -2.103 3.046
O 1.452 -3.983 0.311
O 3.911 8.134 3.159
O 4.480 0.000 3.268
Na 1.307 4.299 2.976
O 1.452 3.983 0.311
O 2.928 -14.722 4.333
O 2.489 -1.739 4.283
O 2.817 -10.441 1.476
O 3.056 1.739 1.497
Ca 1.364 0.000 2.885
Nb 4.194 2.103 3.046
O 2.616 -14.722 1.546
O 2.970 -5.949 4.682
Na 4.237 4.299 0.190
O 4.093 -3.983 3.097
O 3.056 -1.739 1.497
O 2.970 5.949 4.682
O 2.489 1.739 4.283
Nb 1.431 6.253 0.211
O 2.817 10.441 1.476
Nb 4.113 6.253 2.998
O 2.728 10.441 4.262
O 2.575 -5.949 1.895
O 5.177 2.087 4.913
Na 4.237 -4.299 0.190
O 2.728 -10.441 4.262
Bi 1.529 -9.132 2.709
O 3.911 -8.134 3.159
Bi 4.016 -9.132 5.495
Bi 1.529 9.132 2.709
O 1.634 8.134 0.373
O 5.177 -2.087 4.913
O 2.616 14.722 1.546
CELL_PARAMETERS angstrom
2.772 -20.794 0.000
2.772 20.794 0.000
0.000 0.000 5.572
! - SG = Cmc2_1 (36)
! - crystal system = orthorhombic
! - formation energy from the elements (meV/atom) = -2727

---

# 3
! NaCa2Nb8Bi9O36 (PBE-GGA, relaxed); values from VASP
&SYSTEM
  ibrav = 0, nat = 56, ntyp = 5
/
ATOMIC_SPECIES
O 16.00 O.upf
Bi 208.98 Bi.upf
Nb 92.91 Nb.upf
Ca 40.08 Ca.upf
Na 22.99 Na.upf
ATOMIC_POSITIONS angstrom
O -0.651 23.709 -1.684
O -0.755 10.491 -0.410
O -4.329 23.064 -0.109
O -3.256 6.549 4.124
Bi -2.103 7.538 -0.396
O -2.070 21.411 -0.501
O -4.170 8.559 -1.265
Nb -2.036 2.034 0.326
O -6.412 18.790 -1.988
Bi -3.296 5.119 2.306
O -6.194 6.138 -1.149
O -3.474 19.180 3.286
O -6.443 10.196 -0.855
Bi -3.560 20.355 1.296
O -2.564 -0.013 0.476
O -5.646 0.022 1.801
O -6.034 1.367 -0.646
O -3.610 12.776 2.435
Nb -4.463 10.378 -1.705
O -5.793 19.080 1.762
Bi -5.675 7.531 0.628
O -5.573 6.367 2.605
Nb -3.761 14.861 1.843
Bi -4.375 4.846 -1.729
O -0.829 14.762 -0.694
O -3.946 14.264 0.005
Nb -6.228 23.176 -0.235
O -2.916 2.060 -1.378
O -4.101 18.944 -0.474
Nb -4.535 14.575 -1.983
O -1.767 3.887 0.661
O -2.797 14.081 -2.550
*/

**Completed:**
Fractional positions: